Dienstag, 29. Dezember 2009

Christmas at Harnas

Hello, this is the story of a different Christmas. Without Christmas tree. I made a sudden decision and was lucky enough to still get a place at the campsite at Harnas. This is a farm in the far east of Namibia where they take care of injured, abandoned, orphaned, unwanted and abused wild animals, especially big cats. I wanted to visit them for a long time already, but it is out of the way of any round trip through the country. However, it was well worth it. On arrival I missed the reception and ended up in front of a cheetah enclosure where I did not want to proceed. The cats were just being fed and I turned around to find the reception. After checking in I unwrapped my one present I had brought with me and spent some thoughts on my family in the cold and snowed-in Germany. Then I strolled through the area till it got dark, watching the baboons playing, the tortoises grazing on the large lawn in front of the bar and the crocodile lazily lying near the pool. I went to bed soon after dinner to get up with the first daylight. The baboons were already active and noisy and there was a young giraffe behind my tent which came so close that I had to stroke her. Later the same happened with a duiker, a small antelope. I actually had to push her away to be able to take a photo. There was also a zebra in company of a calf strolling around. Then I spent quite some time watching a Pillendreher-Scarabaeus-dungbeetle rolling a lump of dung and burrying it. I joined the morning feeding tour during which we drove around to enclosures of baboons, lions, cheetahs, leopards, velvet monkeys, African wild dogs and karakals. The leopard could catch a big piece of meat standing on its hindlegs on a branch. One karakal jumped 2m high to get the best piece of meat. The dogs were fighting with each other, 5 of them tearing on the same piece. At last we drove through an enclosure with tame cheetahs, but none of them was seen. Then our guide called them and they came running to us despite the fact that there was no food for them. We were allowed to stroke them and one licked my arm with a very rough tongue.
By the time we got back it was already very hot, so I just relaxed, had a light lunch and long siesta. Then I watched a video and an exhibition about the place and walked around with the afternoon feeding tour. There we saw baby lions, a vulture, exotic parrots and monkeys, bat-eared foxes and rock dassie. People come here from all over the world to work for free for some time, that is actually, they pay for it! It is cheaper to stay there as a guest, but of course you then don't get in such close contact with the animals. In the evening there was a buffet and Christmas party for everyone. Early in the morning I went for another walk around and then drove off at lunchtime.

Samstag, 5. Dezember 2009

-- Next to the article, the page also holds records of molecules --
Entry from the OMol25 dataset: a cluster of 2 separate species, C9H13B in total in a non-equilibrium geometry (wB97M-V/def2-TZVPD).

Geometry (Å):
1 H -0.16 0.95 0.66
2 C 3.26 0.05 -0.98
3 C 0.89 -0.67 -0.33
4 H 3.72 2.05 -0.69
5 H 2.56 -1.95 -0.37
6 H -2.06 -2.28 -0.63
7 H 1.43 2.66 0.26
8 H -4.06 2.38 0.24
9 C -2.98 0.75 0.97
10 H -3.27 2.77 1.59
11 B -0.15 -1.54 -0.01
12 H 4.13 -0.40 -1.45
13 H -2.00 -2.34 1.09
14 C 0.80 0.66 0.21
15 H -3.36 0.10 0.18
16 C 2.96 1.29 -0.60
17 H 2.33 -1.41 -2.09
18 C -3.39 2.01 0.90
19 H -1.03 -3.52 0.23
20 H -2.20 0.45 1.57
21 C 2.25 -1.09 -0.98
22 C -1.42 -2.50 0.17
23 C 1.75 1.61 0.07

Calculated values
Largest force on an atom, Eh/bohr: 0.06636
SMILES: C/B=C1/C=CC=CC1.C=C
Orbital gap, eV: 7.25
Electronic energy, a.u.: -375.4161
Spin multiplicity: 1
Relative energy (zero: lowest compared OMol25 entry of this formula, charge and spin), kcal/mol: 63.31



Entry from the OMol25 dataset: an isolated molecule of C9H13BF2O2 in a non-equilibrium geometry (wB97M-V/def2-TZVPD).

Geometry (Å):
1 C -0.76 1.50 -0.02
2 C -1.47 -1.11 -1.38
3 O -1.40 -0.16 2.66
4 H 3.66 -0.50 -1.90
5 C -0.02 0.58 0.59
6 H -1.02 -0.73 -2.26
7 H 4.03 -0.94 -0.28
8 H -0.16 -2.42 2.24
9 O 0.09 -1.78 1.62
10 H 1.48 0.39 -1.60
11 H 1.41 -1.06 -0.60
12 H -4.05 0.76 -0.85
13 H 1.87 0.41 1.49
14 F -1.07 -2.39 -1.27
15 H -2.52 2.68 -0.27
16 C 1.97 -0.05 -0.70
17 H 3.93 0.90 -0.65
18 C 3.48 -0.17 -0.88
19 C -2.49 -0.67 -0.64
20 B -0.47 -0.56 1.64
21 C -2.98 0.71 -0.63
22 C -2.17 1.66 -0.19
23 H -1.63 -0.96 3.28
24 H -2.80 -1.30 0.15
25 C 1.56 0.74 0.52
26 F -0.11 2.67 -0.36
27 H 1.65 1.81 0.27

Calculated values
Largest force on an atom, Eh/bohr: 0.15590
Expectation value of S²: 2.01
Orbital gap (alpha / beta), eV: 5.59 / 7.80
Electronic energy, a.u.: -725.6850
Spin multiplicity: 3



Entry from the OMol25 dataset: a structure of composition C9H13BN2O2S in a non-equilibrium geometry (wB97M-V/def2-TZVPD).

Geometry (Å):
1 H 3.37 0.20 -2.80
2 S -1.15 1.39 -0.91
3 O -3.32 3.48 4.32
4 H -3.26 2.59 4.69
5 C -0.47 -3.18 -1.92
6 C -2.27 2.60 2.31
7 H 4.10 -2.77 -1.40
8 H -2.52 -2.62 -1.85
9 O 3.08 0.32 -1.88
10 H -0.64 -4.23 -2.19
11 N 0.37 0.81 -0.97
12 B 2.82 -0.98 -1.39
13 H -2.28 4.65 3.01
14 H -2.23 1.59 2.73
15 C -1.48 -2.29 -1.74
16 C 4.03 -1.83 -0.81
17 N -2.03 0.07 -1.25
18 C 1.32 -1.48 -1.49
19 H -3.21 2.69 1.76
20 H 3.99 -2.01 0.28
21 H 4.96 -1.27 -1.03
22 C -1.15 -0.92 -1.42
23 H -1.29 3.55 3.99
24 H 1.72 -3.49 -1.99
25 C 0.93 -2.76 -1.80
26 H -1.44 2.73 1.62
27 C 0.25 -0.48 -1.28
28 C -2.22 3.64 3.42

Calculated values
Largest force on an atom, Eh/bohr: 0.03274
Orbital gap, eV: 8.56
Electronic energy, a.u.: -1033.7971
Spin multiplicity: 1



Entry from the OMol25 dataset: a structure of composition C9H13BN2Sn in a non-equilibrium geometry (wB97M-V/def2-TZVPD).

Geometry (Å):
1 C 1.41 1.49 -1.70
2 B 1.58 -3.05 3.21
3 H 0.97 -4.07 3.11
4 C -2.03 0.54 -1.37
5 C 1.51 1.97 -0.45
6 H 2.73 -3.25 3.02
7 H 0.97 -1.72 -1.86
8 C -2.33 -0.43 -0.37

flying higher

Misplaced data records:
........
Record 1
3 unconnected molecules or ions with the total composition C4H12NOS2 at a distorted geometry, computed with ωB97M-V with the def2-TZVPD basis set.

XYZ file:
```
20
Properties=species:S:1:pos:R:3:nbo_charge:R:1
C -2.757 1.075 -0.386 -0.7218
C 2.511 0.079 -0.668 -0.7619
C -1.983 -0.077 0.106 0.3045
C 2.037 1.280 -0.060 0.4670
N -0.706 -0.024 0.234 -0.6275
O 0.911 1.781 -0.145 -0.6322
S -0.408 -3.066 -1.162 -0.3424
S 3.366 2.147 0.790 0.0271
H -2.137 1.786 -0.836 0.2496
H -3.425 1.358 0.498 0.2853
H -3.391 0.829 -1.323 0.2809
H 1.771 -0.468 -1.205 0.2444
H 3.224 -0.477 0.107 0.2760
H 3.167 0.465 -1.434 0.2885
H -2.600 -1.040 0.308 0.2375
H -0.300 -0.957 0.625 0.4547
H -0.238 0.837 0.088 0.4421
H -0.893 -4.329 -0.810 0.1981
H -1.558 -2.597 -1.791 0.1594
H 2.669 3.289 1.070 0.1706
```

Summary:
- E_HOMO: -13.41 eV
- E_LUMO: -4.00 eV
- Total charge: +1
- Spin multiplicity: 1
- Frontier orbital gap: 9.41 eV

Record 2
A molecular structure, C24H43N6OPb at a distorted geometry, computed with ωB97M-V with the def2-TZVPD basis set.

XYZ file:
```
75
Properties=species:S:1:pos:R:3:lowdin_charge:R:1
Pb 3.598 -2.313 -0.175 1.4557
O 1.789 -0.854 -0.447 -0.5713
H 0.974 -0.386 -0.628 -0.0835
C -1.845 -3.154 -2.952 -0.0794
C -0.666 -2.985 -2.015 -0.2717
C -0.566 -4.046 -0.933 -0.1498
C 0.692 -4.057 -0.155 -0.1599
N 1.640 -4.039 0.502 0.0774
H -2.828 -3.092 -2.480 0.0813
H -1.810 -4.136 -3.429 0.0880
H -1.824 -2.432 -3.766 0.0615
H -0.574 -1.990 -1.581 0.0717
H 0.211 -3.078 -2.662 0.1044
H -0.577 -5.057 -1.349 0.1367
H -1.425 -3.971 -0.266 0.1118
C 5.696 2.928 -0.166 -0.0897
C 4.600 1.999 -0.741 -0.2405
C 3.149 2.271 -0.317 -0.1887
C 2.920 2.127 1.124 -0.1962
N 2.734 1.985 2.251 0.1945
H 5.854 2.760 0.899 0.0740
H 5.522 3.993 -0.323 0.0789
H 6.631 2.737 -0.695 0.0742
H 4.864 0.966 -0.511 0.0841
H 4.681 2.099 -1.824 0.1103
H 2.438 1.655 -0.865 0.0788
H 2.886 3.309 -0.537 0.1182
C -0.233 3.437 -0.532 -0.0764
C -0.800 2.194 0.190 -0.2468
C -1.143 2.440 1.646 -0.2006
C -1.973 3.622 1.904 -0.2240
N -2.601 4.561 2.115 0.1615
H -1.008 4.201 -0.605 0.0818
H 0.040 3.137 -1.544 0.0583
H 0.604 3.919 -0.026 0.0740
H -0.075 1.376 0.249 0.0683
H -1.635 1.806 -0.395 0.1067
H -0.276 2.626 2.287 0.1108
H -1.635 1.590 2.126 0.0974
C -2.404 -1.416 0.798 -0.1021
C -3.504 -0.877 1.718 -0.2419
C -4.854 -1.517 1.392 -0.1909
C -5.061 -2.928 1.702 -0.2252
N -5.264 -4.032 1.945 0.1497
H -1.486 -0.840 0.922 0.0463
H -2.660 -1.356 -0.264 0.0713
H -2.256 -2.481 0.981 0.0670
H -3.676 0.201 1.704 0.1033
H -3.110 -1.041 2.724 0.1120
H -5.046 -1.314 0.336 0.1227
H -5.670 -0.988 1.890 0.1245
C 1.374 -0.229 5.356 -0.0924
C 0.639 0.345 4.141 -0.2515
C 0.703 -0.537 2.884 -0.1723
C 1.956 -1.211 2.577 -0.2012
N 2.947 -1.740 2.336 0.0787
H 1.372 0.445 6.210 0.0807
H 2.402 -0.492 5.095 0.0698
........
The article goes on:

I spent another weekend with my friends in the dunes, got a lot of flights done and learnt a lot - not the least is confidence. We started higher and higher and in stronger winds, though not from the top of the dune yet. Sometimes it took quite an effort to correct the flying direction when the wind blew. I am very happy that I managed the weekend without further injuries and the Sunday even without any crashlanding. I am looking forward to next time!